Tuesday 21 June 2016

'Brexit EARTHQUAKE': EU fatcats' fears as Swedish MEP suggests 'UK-Nordic trading bloc'

The article is interrupted by records of molecules:
-- begin --
Entry 1:
{"formula": "C22H31N3O2", "method": "ωB97M-V/def2-TZVPD", "species": ["C", "C", "N", "N", "C", "C", "C", "N", "C", "C", "C", "C", "C", "O", "C", "C", "C", "C", "C", "O", "C", "C", "C", "C", "C", "C", "C", "H", "H", "H", "H", "H", "H", "H", "H", "H", "H", "H", "H", "H", "H", "H", "H", "H", "H", "H", "H", "H", "H", "H", "H", "H", "H", "H", "H", "H", "H", "H"], "positions_angstrom": [[3.05829, -0.70677, 3.18003], [3.53833, -1.92833, 2.39795], [2.94477, -1.97645, 1.08931], [3.53200, -1.34487, 0.07347], [2.73272, -1.50138, -0.96374], [1.59721, -2.24977, -0.61922], [0.45607, -2.62956, -1.50377], [-0.82752, -2.42719, -0.84725], [-1.93371, -2.89698, -1.65878], [-3.23305, -2.83735, -0.86038], [-3.49196, -1.41613, -0.37220], [-2.26841, -0.94577, 0.42655], [-2.53289, 0.44659, 0.97091], [-3.02591, 0.61639, 2.05911], [-2.17137, 1.58082, 0.06745], [-3.10944, 2.12669, -0.79492], [-2.74259, 3.18345, -1.61427], [-1.46054, 3.68701, -1.57703], [-0.50970, 3.14759, -0.70507], [0.71089, 3.73253, -0.73899], [1.80286, 3.17431, -0.01442], [2.31801, 1.91132, -0.70259], [2.87666, 4.25603, 0.03096], [-0.87947, 2.09156, 0.12131], [-1.03394, -1.04277, -0.46709], [1.76936, -2.53986, 0.72515], [0.90232, -3.31010, 1.65200], [3.53670, -0.67646, 4.15497], [3.31106, 0.20021, 2.63647], [1.98039, -0.73727, 3.32162], [3.29129, -2.84765, 2.93414], [4.62030, -1.87339, 2.25751], [2.99173, -1.08431, -1.91669], [0.52537, -3.69384, -1.75868], [0.52968, -2.05371, -2.44484], [-1.73004, -3.93011, -1.95354], [-2.03933, -2.29403, -2.58058], [-4.05980, -3.17866, -1.48546], [-3.15183, -3.50619, -0.00205], [-4.38540, -1.38240, 0.25353], [-3.64221, -0.75337, -1.22789], [-2.14221, -1.61882, 1.28104], [-4.11579, 1.73753, -0.81745], [-3.46749, 3.61542, -2.28805], [-1.16312, 4.50822, -2.20969], [1.48575, 2.94466, 1.01322], [1.52662, 1.17204, -0.80222], [2.67863, 2.16038, -1.69769], [3.13198, 1.46887, -0.13538], [3.17353, 4.52049, -0.98024], [3.74453, 3.89517, 0.57508], [2.49083, 5.14536, 0.52213], [-0.18382, 1.65911, 0.82323], [-0.15001, -0.70857, 0.07969], [-1.15872, -0.39264, -1.35318], [1.40970, -4.21122, 1.99859], [0.63042, -2.71583, 2.52374], [-0.00323, -3.59116, 1.12241]], "lowdin_charge": [-0.068, -0.184, -0.133, 0.079, -0.121, -0.179, -0.146, -0.173, -0.199, -0.168, -0.147, -0.215, -0.333, 0.128, -0.165, -0.037, -0.068, 0.000, -0.249, -0.024, -0.423, -0.037, -0.037, 0.031, -0.149, -0.226, -0.005, 0.072, 0.067, 0.066, 0.116, 0.120, 0.109, 0.127, 0.130, 0.120, 0.129, 0.112, 0.116, 0.124, 0.117, 0.155, 0.114, 0.106, 0.117, 0.139, 0.059, 0.091, 0.073, 0.084, 0.082, 0.081, 0.119, 0.118, 0.143, 0.085, 0.080, 0.071], "e_tot_ha": -1171.6578, "orbital_gap_ev": 9.313, "de_lowest_kj_mol": 185.51, "e_homo_ev": -8.56, "charge": 0, "smiles": "CCn1ncc(CN2CCC[C@H](C(=O)c3cccc(OC(C)C)c3)C2)c1C"}



Entry 2:
-- stop --

SPECIAL REPORT: COMPLACENT politicians in Brussels once scoffed at the idea of Britain turning its back on the EU because they did not believe it would ever happen.

EU flags
Across Brussels the talk is of Brexit and the political “earthquake” of a UK vote to Leave

But as one put it last night: “They’ve stopped laughing now.” Across Brussels the talk is of Brexit and the political “earthquake” which a UK vote to Leave would cause. MEPs discussed the implications for Europe as a whole and for their countries individually, with the 750-strong European Parliament enjoying what is potentially its last weekend united with the UK. 
Swedish MEP Peter Lundgren said Denmark and Sweden were already “on the brink” of quitting, suggesting that should the UK leave, a “Nordic trading bloc” led by Britain could be born. Sweden has been sticking by its EU commitments, but barely. It’s little wonder. Sweden now has the highest level of non-EU immigration per capita. 
And while newcomers are extended free health care and a five-euro flat fee for dental care, the elderly have seen their state pensions cut and must still pay 400 euros for a new tooth. State-sponsored polls reveal a small majority for staying in the EU. Ask Swedes what they would do if Britain left, however, and it’s a different story.
In April a poll by TNS Sifo, Sweden’s biggest polling company, found more people in favour of leaving than remaining if Britain voted for Brexit. Mr Lundgren said: “I think Sweden may fall. The Netherlands has also threatened a referendum if Brexit happens. Denmark will also go for a referendum and so will the Czech Republic. 
“Britain has always been there for Europe. You made huge sacrifices to save us from Nazi dictatorship. 
“The British have a very strong sense of freedom and Brussels has messed with that. That’s the biggest lesson that will come out of a Brexit.” 
EU fatcats illustration
Mr Lundgren said Brussels was beginning to realise it had misjudged Britain
Mr Lundgren said Brussels was beginning to realise it had misjudged Britain. “They laughed when Ukip and Conservative Eurosceptics began to demand a referendum for Britain,” he said. “They’ve stopped laughing now. 
Brussels politicians laughed at the idea of a referendum. They've stopped laughing now
Swedish MEP Peter Lundgren
“They never believed it would happen and then they didn’t believe there would be a chance for Brexit to win. In their rarefied world, belonging to the EU is the only option.” 
Looking to a post-Brexit future, he suggested the 90 million people of Sweden, Denmark, Norway, Finland, Iceland and the UK would harness a combined GDP of nearly £3trillion, representing considerable clout when it comes to forming new trading deals with the EU.
“It’s an idea that has been gaining traction and one I’d like to see,” he said. “We’re similar in our culture, in our outlooks and in our economies. It’s a better fit than the EU.”
Morten Messerschmidt, a Danish MEP and member of the European Conservatives and Reformists Group, said: “The idea of a Nordic bloc is being spoken about. Many Danes would find it appealing if the UK, after leaving the EU, created an alternative free market-oriented organisation. It could include the Netherlands and Switzerland too. 
“Denmark is in the EU for trade but there is no ideological loyalty. A Nordic bloc would attract Danes because it takes us back to the original EEC idea. 
“The Maastricht treaty turned a commerce-oriented operation into an ideological operation with ever-closer union. It became an entity by itself. It’s a shame it needs a political earthquake to shake Brussels but it’s not Britain that’s wrong, it’s Brussels.” 
Mr Lundgren added: “Brussels still doesn’t understand the problem, which is that it’s ruled by elite politicians, who are very well paid and enjoy luxury lives on EU money. 
Vote Leave supporter
Brussels sources warned British MEPs they may have their “wings clipped” in the European Parliament
“I was surprised to see the VIP queues in bars, where MEPs are treated like royalty, and the driver service in the basement, where 60 shiny black Mercedes are ready to take you wherever you want to go for free. This isn’t what the European project was about.” 
Earlier this month a report by the think tank New Direction called for the EU’s budget to be cut by 10 per cent, citing excesses such as the House of Europe museum which will cost £44.5million to build and a further £9million a year to run, as well as so-called EU information offices around the world, which cost £30million a year. As referendum day draws nearer, the mood in the Belgian capital is tense. Senior Brussels sources have warned British MEPs they may soon have their “wings clipped” in the European Parliament. 
“It would not be agreeable if, after a vote to leave, British MEPs retained their right to influence legislation which may only become active in two years’ time,” said a source last night. British MEPs reacted angrily to the news. 
One said: “Britain will still be paying its dues. If you give a month’s notice to quit your gym membership you expect to be allowed to use that gym for the next four weeks.”